Search the listing underneath for the word "Nd" and restate each line that has it.

'''
6
Lattice="-1.3752 1.9223 3.2189 2.8082 -2.8109 0.4011 5.8470 5.7110 -0.9126" Properties=species:S:1:pos:R:3 comment="NdDySi2Ni2 | Alexandria | GGA-PBE | optimized geometry" energy_ev_per_cell=-36.29 space_group="P-3m1, No. 164" pbc="T T T"
Nd 0.0000 0.0000 0.0000
Dy 2.9235 2.8555 -0.4563
Si 4.3583 4.5827 1.6024
Si 2.9216 0.2397 1.1050
Ni 1.5499 1.8396 2.0408
Ni 5.7300 2.9827 0.6667

~~~~~

Compound: Re3WI
Source: Alexandria via LeMat-Bulk
Functional: GGA-PBE
Structure: optimized geometry

## Properties
- ΔE to the lowest computed polymorph: 0.000 eV per atom
- Space-group type: Pm-3m (221)
- Density: 12.89 g/cm³
- Magnetization: 1.46 μB per cell

a = 4.820 Å, b = 4.820 Å, c = 4.820 Å
α = 90.00°, β = 90.00°, γ = 90.00°
Site moments in Bohr magnetons follow the coordinates.
Sites, in units of the cell vectors:
I 0.500 0.500 0.500  0.01
Re 0.000 0.500 0.000  0.46
Re 0.000 0.000 0.500  0.45
Re 0.500 0.000 0.000  0.43
W 0.000 0.000 0.000  -0.10


Compound: ReWI2
Source: Alexandria via LeMat-Bulk
Functional: GGA-PBE
Structure: optimized geometry

## Properties
- ΔE to the lowest computed polymorph: 0.226 eV per atom
- Space-group type: I-42d (122)
- Density: 9.63 g/cm³
- Magnetization: 0.00 μB per cell

a = 6.008 Å, b = 6.008 Å, c = 7.321 Å
α = 65.77°, β = 65.77°, γ = 90.00°
Sites, in units of the cell vectors:
I 0.629 0.125 0.250
I 0.121 0.625 0.250
I 0.375 0.371 0.750
I 0.875 0.879 0.750
Re 0.000 0.000 0.000
Re 0.750 0.250 0.500
W 0.500 0.500 0.000
W 0.250 0.750 0.500


Compound: Re2WI
Source: Alexandria via LeMat-Bulk
Functional: GGA-PBE
Structure: optimized geometry

## Properties
- ΔE to the lowest computed polymorph: 0.000 eV per atom
- Space-group type: Fm-3m (225)
- Density: 16.67 g/cm³
- Magnetization: 0.00 μB per cell

a = 4.583 Å, b = 4.583 Å, c = 4.583 Å
α = 60.00°, β = 60.00°, γ = 60.00°
Sites, in units of the cell vectors:
I 0.000 0.000 0.000
Re 0.250 0.250 0.250
Re 0.750 0.750 0.750
W 0.500 0.500 0.500


Compound: Re2WI
Source: Alexandria via LeMat-Bulk
Functional: GGA-PBE
Structure: optimized geometry

## Properties
- ΔE to the lowest computed polymorph: 0.438 eV per atom
- Space-group type: I-42d (122)
- Density: 11.34 g/cm³
- Magnetization: 0.00 μB per cell

a = 5.829 Å, b = 5.829 Å, c = 7.187 Å
α = 66.08°, β = 66.08°, γ = 90.00°
Sites, in units of the cell vectors:
I 0.500 0.500 0.000
I 0.250 0.750 0.500
Re 0.645 0.125 0.250
Re 0.105 0.625 0.250
Re 0.375 0.355 0.750
Re 0.875 0.895 0.750
W 0.000 0.000 0.000
W 0.750 0.250 0.500


Compound: ZnRe2WI
Source: Alexandria via LeMat-Bulk
Functional: GGA-PBE
Structure: optimized geometry

## Properties
- Space-group type: P4/mmm (123)
- Density: 10.85 g/cm³
- Magnetization: 0.00 μB per cell
- Total DFT energy (no corrections): -6.160 eV per atom

a = 4.819 Å, b = 4.933 Å, c = 4.819 Å
α = 90.00°, β = 90.00°, γ = 90.00°
Sites, in units of the cell vectors:
I 0.500 0.500 0.500
Re 0.000 0.000 0.500
Re 0.500 0.000 0.000
Zn 0.000 0.500 0.000
W 0.000 0.000 0.000


Compound: YReI2
Source: Alexandria via LeMat-Bulk
Functional: GGA-PBE
Structure: optimized geometry

## Properties
- ΔE to the lowest computed polymorph: 0.030 eV per atom
- Space-group type: Fm-3m (225)
- Density: 8.76 g/cm³
- Magnetization: 3.26 μB per cell

a = 5.215 Å, b = 5.215 Å, c = 5.215 Å
α = 60.00°, β = 60.00°, γ = 60.00°
Site moments in Bohr magnetons follow the coordinates.
Sites, in units of the cell vectors:
I 0.250 0.250 0.250  0.10
I 0.750 0.750 0.750  0.10
Re 0.500 0.500 0.500  2.41
Y 0.000 0.000 0.000  0.07


Compound: Y3ReI
Source: Alexandria via LeMat-Bulk
Functional: GGA-PBE
Structure: optimized geometry

## Properties
- Space-group type: Pm-3m (221)
- Density: 5.84 g/cm³
- Magnetization: 0.00 μB per cell
- Total DFT energy (no corrections): -6.536 eV per atom

a = 5.484 Å, b = 5.484 Å, c = 5.484 Å
α = 90.00°, β = 90.00°, γ = 90.00°
Sites, in units of the cell vectors:
I 0.500 0.500 0.500
Re 0.000 0.000 0.000
Y 0.000 0.500 0.000
Y 0.000 0.000 0.500
Y 0.500 0.000 0.000


Compound: YReI2
'''

Nd 0.0000 0.0000 0.0000